Resolve Offers and Banding Combinations

The Resolve Offers routine works differently if the receiver is using a combination of banding methods, as opposed to a single banding method.

Ability and Discrete Banding

The Resolve Offers routine processes the bands with the highest priority first. If this results in a band having vacancies, then the highest ranked children in the band with N (No Offer) status are allocated/provisionally allocated.

Next to the text, the page also holds calculated crystals.
........
VASP calculation (PBE) on a geometry-optimized PmTh2Pb3 structure.

CIF file:
```
data_PmTh2Pb3
_chemical_formula_sum 'Pm1 Th2 Pb3'
_cell_length_a 4.556
_cell_length_b 6.477
_cell_length_c 7.928
_cell_angle_alpha 114.11
_cell_angle_beta 106.70
_cell_angle_gamma 90.00
_space_group_name_H-M_alt 'P 1'
_space_group_IT_number 1
loop_
_space_group_symop_operation_xyz
'x,y,z'
loop_
_atom_site_label
_atom_site_type_symbol
_atom_site_fract_x
_atom_site_fract_y
_atom_site_fract_z
_atom_site_occupancy
Pm1 Pm 0.000 0.500 0.000 1
Th1 Th 0.667 0.167 0.334 1
Th2 Th 0.333 0.833 0.666 1
Pb1 Pb 0.334 0.334 0.668 1
Pb2 Pb 0.000 0.000 0.000 1
Pb3 Pb 0.666 0.666 0.332 1
```

## Properties
Formation energy, meV per atom: -321
M_tot, Bohr magnetons per cell: 0.000
Total energy, eV per atom: -5.44

VASP calculation (PBE) on a geometry-optimized Dy2ErRu3 structure.

CIF file:
```
data_Dy2ErRu3
_chemical_formula_sum 'Dy2 Er1 Ru3'
_cell_length_a 4.789
_cell_length_b 4.789
_cell_length_c 5.876
_cell_angle_alpha 90.00
_cell_angle_beta 90.00
_cell_angle_gamma 120.00
_space_group_name_H-M_alt 'P 1'
_space_group_IT_number 1
loop_
_space_group_symop_operation_xyz
'x,y,z'
loop_
_atom_site_label
_atom_site_type_symbol
_atom_site_fract_x
_atom_site_fract_y
_atom_site_fract_z
_atom_site_occupancy
Dy1 Dy 0.667 0.333 0.332 1
Dy2 Dy 0.333 0.667 0.668 1
Er1 Er 0.000 0.000 0.000 1
Ru1 Ru 0.000 0.000 0.500 1
Ru2 Ru 0.667 0.333 0.834 1
Ru3 Ru 0.333 0.667 0.166 1
```

## Properties
Formation energy, meV per atom: -336
E above lowest polymorph, meV per atom: 6
M_tot, Bohr magnetons per cell: 0.000
Total energy, eV per atom: -7.27

VASP calculation (PBE) on a geometry-optimized Ag2HgW structure.

CIF file:
```
data_Ag2HgW
_chemical_formula_sum 'Ag2 Hg1 W1'
_cell_length_a 4.975
_cell_length_b 4.975
_cell_length_c 4.975
_cell_angle_alpha 128.82
_cell_angle_beta 128.82
_cell_angle_gamma 75.30
_space_group_name_H-M_alt 'P 1'
_space_group_IT_number 1
loop_
_space_group_symop_operation_xyz
'x,y,z'
loop_
_atom_site_label
_atom_site_type_symbol
_atom_site_fract_x
_atom_site_fract_y
_atom_site_fract_z
_atom_site_occupancy
Ag1 Ag 0.000 0.000 0.000 1
Ag2 Ag 0.250 0.750 0.500 1
Hg1 Hg 0.500 0.500 0.000 1
W1 W 0.750 0.250 0.500 1
```

## Properties
Formation energy, meV per atom: 870
M_tot, Bohr magnetons per cell: 1.549
Total energy, eV per atom: -3.87

VASP calculation (PBE) on a geometry-optimized MgAs structure.

CIF file:
```
data_MgAs
_chemical_formula_sum 'Mg4 As4'
_cell_length_a 6.086
_cell_length_b 6.086
_cell_length_c 6.086
_cell_angle_alpha 90.00
_cell_angle_beta 90.00
_cell_angle_gamma 90.00
_space_group_name_H-M_alt 'P 1'
_space_group_IT_number 1
loop_
_space_group_symop_operation_xyz
'x,y,z'
loop_
_atom_site_label
_atom_site_type_symbol
_atom_site_fract_x
_atom_site_fract_y
_atom_site_fract_z
_atom_site_occupancy
Mg1 Mg 0.250 0.250 0.250 1
Mg2 Mg 0.250 0.750 0.750 1
Mg3 Mg 0.750 0.250 0.750 1
Mg4 Mg 0.750 0.750 0.250 1
As1 As 0.000 0.000 0.000 1
As2 As 0.000 0.500 0.500 1
........
The text goes on.

Vacancies in a discrete band within the assessed band are filled from that band’s waiting list only.

Children who have applied for the assessed band and who have stated that they should not be considered for the mainstream school are not considered for vacancies in the non-assessed band.

Aptitude and Discrete Banding

The Resolve Offers routine processes the bands with the highest priority first. If this processing generates vacancies within the band, then the highest ranked children in that band with statuses of N (No Offer) are allocated/provisionally allocated.

Vacancies in a discrete band within the aptitude band are filled from that band’s waiting list only.

Children who have applied for the aptitude band and who have stated that they should not be considered for the mainstream school are not considered for vacancies in the non-aptitude band.

Aptitude and Fair Banding

== Next to the piece, the page also holds materials data ==
'''
{"formula": "PmAl2Cu2", "functional": "PBE-GGA", "state": "optimized geometry", "cell": [[4.207, 0.000, 0.000], [0.000, 4.207, 0.000], [0.000, 0.000, 10.128]], "species": ["Pm", "Pm", "Al", "Al", "Al", "Al", "Cu", "Cu", "Cu", "Cu"], "fractional_positions": [[0.250, 0.250, 0.245], [0.750, 0.750, 0.755], [0.250, 0.250, 0.873], [0.250, 0.750, 0.500], [0.750, 0.250, 0.500], [0.750, 0.750, 0.127], [0.250, 0.250, 0.633], [0.250, 0.750, 0.000], [0.750, 0.250, 0.000], [0.750, 0.750, 0.367]], "e_tot_ev_per_atom": -4.34}

~~~~~

# PBE LiTmPaRe, optimized geometry
data_LiTmPaRe
_chemical_formula_sum 'Li1 Tm1 Pa1 Re1'
_symmetry_space_group_name_H-M 'P 1'
_symmetry_Int_Tables_number 1
_cell_length_a 4.885
_cell_length_b 4.885
_cell_length_c 4.885
_cell_angle_alpha 60.00
_cell_angle_beta 60.00
_cell_angle_gamma 60.00
loop_
_symmetry_equiv_pos_as_xyz
'x,y,z'
loop_
_atom_site_label
_atom_site_fract_x
_atom_site_fract_y
_atom_site_fract_z
Pa1 0.750 0.750 0.750
Re1 0.500 0.500 0.500
Li1 0.000 0.000 0.000
Tm1 0.250 0.250 0.250
# - raw total energy (eV for the cell shown) = -28.1
# - space-group type = F-43m (216)
# - formation energy (eV per atom) = 0.06

---

# PBE Li2PaRh5, optimized geometry
data_Li2PaRh5
_chemical_formula_sum 'Li2 Pa1 Rh5'
_symmetry_space_group_name_H-M 'P 1'
_symmetry_Int_Tables_number 1
_cell_length_a 4.108
_cell_length_b 4.108
_cell_length_c 7.564
_cell_angle_alpha 105.76
_cell_angle_beta 105.76
_cell_angle_gamma 90.00
loop_
_symmetry_equiv_pos_as_xyz
'x,y,z'
loop_
_atom_site_label
_atom_site_fract_x
_atom_site_fract_y
_atom_site_fract_z
Rh1 0.363 0.863 0.727
Li1 0.248 0.248 0.496
Rh2 0.863 0.363 0.727
Rh3 0.500 0.500 0.000
Rh4 0.137 0.637 0.273
Rh5 0.637 0.137 0.273
Li2 0.752 0.752 0.504
Pa1 0.000 0.000 0.000
# - raw total energy (eV for the cell shown) = -54.0
# - space-group type = I4/mmm (139)
# - formation energy (eV per atom) = -0.49

---

# PBE Li4PaRh12, optimized geometry
data_Li4PaRh12
_chemical_formula_sum 'Li4 Pa1 Rh12'
_symmetry_space_group_name_H-M 'P 1'
_symmetry_Int_Tables_number 1
_cell_length_a 4.863
_cell_length_b 7.979
_cell_length_c 7.979
_cell_angle_alpha 115.98
_cell_angle_beta 101.72
_cell_angle_gamma 101.72
loop_
_symmetry_equiv_pos_as_xyz
'x,y,z'
loop_
_atom_site_label
_atom_site_fract_x
_atom_site_fract_y
_atom_site_fract_z
Rh1 0.556 0.499 0.184
Rh2 0.660 0.849 0.650
Rh3 0.990 0.650 0.801
Rh4 0.010 0.350 0.199
Rh5 0.189 0.199 0.849
Li1 0.000 0.000 0.500
Rh6 0.056 0.684 0.501
Pa1 0.000 0.000 0.000
Rh7 0.944 0.316 0.499
Rh8 0.811 0.801 0.151
Rh9 0.444 0.501 0.816
Rh10 0.340 0.151 0.350
Rh11 0.372 0.816 0.316
Li2 0.000 0.500 0.000
Li3 0.500 0.500 0.500
Li4 0.500 0.000 0.000
Rh12 0.628 0.184 0.684
# - raw total energy (eV for the cell shown) = -102.8
# - space-group type = R-3 (148)
# - formation energy (eV per atom) = 0.15

---

# PBE LiPaRh3, optimized geometry
data_LiPaRh3
_chemical_formula_sum 'Li2 Pa2 Rh6'
_symmetry_space_group_name_H-M 'P 1'
_symmetry_Int_Tables_number 1
_cell_length_a 4.450
_cell_length_b 6.415
'''

Schools using combined aptitude and fair banding can run the Resolve Offers routine in two ways:

  • Make offers for the aptitude band and then make offers to the non-aptitude band based on fair banding.
    Offers are resolved for the aptitude bands first. Any vacancies that are generated in an aptitude band are filled with the highest ranked children in that band who have a status of N (No Offer).
    The fair band offers are resolved once offers have been resolved for the aptitude bands. Any vacancies that are generated in a fair band are filled as described in Step 5 of The Resolve Offers Routine for Fair Banded Receivers.
    If a vacancy is generated in the lowest priority fair band and there is no waiting list, then the vacancy is filled with the child from the next higher band who has the lowest test score.
  • Use fair banding within both the aptitude and the non-aptitude band.
    Offers are resolved for the aptitude bands first. Children from the individual fair bands within the aptitude band are allocated at this point. Any vacancies that are generated in the fair bands are filled as described in Step 5 of The Resolve Offers Routine for Fair Banded Receivers.
    The non-aptitude fair bands are resolved in the same way as the aptitude fair bands once offers have been resolved for all aptitude bands.